# Entries
____________
# Mg2Mo PBE relaxed
data_Mg2Mo
_chemical_formula_sum 'Mg8 Mo4'
_space_group_name_H-M_alt 'C m c m'
_space_group_IT_number 63
_space_group_name_Hall '-C 2c 2'
_cell_length_a 9.734
_cell_length_b 5.079
_cell_length_c 4.515
_cell_angle_alpha 90.00
_cell_angle_beta 90.00
_cell_angle_gamma 90.00
loop_
_atom_site_label
_atom_site_type_symbol
_atom_site_fract_x
_atom_site_fract_y
_atom_site_fract_z
Mg1 Mg 0.162 0.172 0.250
Mo1 Mo 0.000 0.363 0.750
# Energy above the lowest structure with this stoichiometry   111 meV per atom
# Spin magnetization   0.0 μB per formula unit
# VASP energy   -4.30 eV/atom
# ρ   4.3 Mg/m³

~~~~~

Entry from Alexandria via LeMat-Bulk: an optimized crystal structure of YSeCl2 (GGA-PBE).

abc: 7.7162 7.7162 5.1242
angles: 109.19 109.19 26.81
Fractional positions:
Y  0.0000  0.0000  0.0000
Se  0.5000  0.5000  0.5000
Cl  0.3560  0.3560  0.8562
Cl  0.6440  0.6440  0.1438

Output
uncorrected formation energy	-5.97	eV per formula unit
magnetization	0.2086	μB/atom
excess energy over the best structure of this formula in the dataset	107	meV/atom
V	129	Å³/cell
____________
# Work order
What is needed: repeat only the last part of the material above, starting with the line that has "_cell_angle_gamma 90.00".
# Written answer
_cell_angle_gamma 90.00
loop_
_atom_site_label
_atom_site_type_symbol
_atom_site_fract_x
_atom_site_fract_y
_atom_site_fract_z
Mg1 Mg 0.162 0.172 0.250
Mo1 Mo 0.000 0.363 0.750
# Energy above the lowest structure with this stoichiometry   111 meV per atom
# Spin magnetization   0.0 μB per formula unit
# VASP energy   -4.30 eV/atom
# ρ   4.3 Mg/m³

~~~~~

Entry from Alexandria via LeMat-Bulk: an optimized crystal structure of YSeCl2 (GGA-PBE).

abc: 7.7162 7.7162 5.1242
angles: 109.19 109.19 26.81
Fractional positions:
Y  0.0000  0.0000  0.0000
Se  0.5000  0.5000  0.5000
Cl  0.3560  0.3560  0.8562
Cl  0.6440  0.6440  0.1438

Output
uncorrected formation energy	-5.97	eV per formula unit
magnetization	0.2086	μB/atom
excess energy over the best structure of this formula in the dataset	107	meV/atom
V	129	Å³/cell